# Input
┌──
The following is a DFT calculation (SCAN) of a crystal of PdI2NO relaxed with PBEsol.

POSCAR file:
```
PdI2NO
1.0
3.704 0.000 0.000
0.000 5.587 0.000
0.000 0.000 5.587
I O Pd N
2 1 1 1
Cartesian
0.000 0.000 2.794
0.000 2.794 0.000
1.852 0.000 0.000
0.000 0.000 0.000
1.852 2.794 2.794
```

space-group type = P4/mmm (123)
uncorrected energy = -23.385 eV/atom
total magnetic moment = 0.297 μB/atom

=====

Ba2NiPdAu PBE optimized geometry; symmetry = P4/mmm; energy of formation from the pure elements = -0.160 eV/atom; uncorrected energy = -18.9 eV per cell
1.0
5.887 0.000 0.000
0.000 5.887 0.000
0.000 0.000 4.644
Ba Ni Pd Au
2 1 1 1
Direct
0.000 0.500 0.000
0.500 0.000 0.000
0.000 0.000 0.000
0.000 0.000 0.500
0.500 0.500 0.500



Ba6NiPdAu2 PBE optimized geometry; symmetry = R3; energy of formation from the pure elements = -0.373 eV/atom; uncorrected energy = -32.8 eV per cell
1.0
4.042 2.333 7.521
-4.042 2.333 7.521
0.000 -4.667 7.521
Ba Ni Pd Au
6 1 1 2
Direct
0.000 0.354 0.645
0.152 0.860 0.493
0.354 0.645 0.000
0.493 0.152 0.860
0.645 0.000 0.354
0.860 0.493 0.152
0.253 0.253 0.253
0.753 0.753 0.753
0.075 0.075 0.075
0.576 0.576 0.576



Magnetization readings, ordered: 0.01 0.00 μB/atom

=====

AcPm2PrN4: optimized geometry, PBE-GGA.

Lattice parameters (Å, degrees): 6.4272 3.7051 6.4356 90.00 109.39 90.00
Closest atoms and distances in Å follow each position.
Sites, in units of the cell vectors:
Ac (0.0000, 0.0000, 0.0000)  6 N 2.67-2.68
Pm (0.0000, 0.5000, 0.5000)  6 N 2.61
Pm (0.5000, 0.0000, 0.5000)  6 N 2.57
Pr (0.5000, 0.5000, 0.0000)  6 N 2.64
N (0.2518, 0.0000, 0.7422)  3 Pm 2.57-2.61, 2 Pr 2.64, 1 Ac 2.67
N (0.2589, 0.5000, 0.2623)  3 Pm 2.57-2.61, 1 Pr 2.64, 2 Ac 2.68
N (0.7411, 0.5000, 0.7377)  3 Pm 2.57-2.61, 1 Pr 2.64, 2 Ac 2.68
N (0.7482, 0.0000, 0.2578)  3 Pm 2.57-2.61, 2 Pr 2.64, 1 Ac 2.67

Magnetic moment = 0.00 μB/f.u.
Symmetry = P2/m (10)
Density of states at the Fermi level = 0.143 states/eV/atom
Formation energy from raw total energies = -10.2 eV/f.u.
Total DFT energy (no corrections) = -61.9 eV/cell

***

SbOsC3: optimized geometry, PBE-GGA.

Lattice parameters (Å, degrees): 4.1298 4.1298 4.1298 90.00 90.00 90.00
Closest atoms and distances in Å follow each position.
Sites, in units of the cell vectors:
Sb (0.0000, 0.0000, 0.0000)  6 C 2.06
Os (0.5000, 0.5000, 0.5000)  12 C 2.92
C (0.0000, 0.0000, 0.5000)  2 Sb 2.06
C (0.0000, 0.5000, 0.0000)  2 Sb 2.06
C (0.5000, 0.0000, 0.0000)  2 Sb 2.06

Magnetic moment = 0.00 μB/f.u.
Symmetry = Pm-3m (221)
Density of states at the Fermi level = 1.752 states/eV/atom
Formation energy from raw total energies = 17.5 eV/f.u.
Total DFT energy (no corrections) = -25.6 eV/cell
ΔE to the lowest computed polymorph = 1.525 eV per atom

***

KCuPbBr5: optimized geometry, PBE-GGA.

Lattice parameters (Å, degrees): 7.9289 7.9289 10.8233 102.58 102.58 110.84
Closest atoms and distances in Å follow each position.
Sites, in units of the cell vectors:
K (0.1593, 0.8407, 0.7500)  5 Br 3.26-3.44
K (0.8407, 0.1593, 0.2500)  5 Br 3.26-3.44
Cu (0.1766, 0.8234, 0.2500)  4 Br 2.43
Cu (0.8234, 0.1766, 0.7500)  4 Br 2.43
Pb (0.5000, 0.5000, 0.0000)  6 Br 2.95-3.04
Pb (0.5000, 0.5000, 0.5000)  6 Br 2.95-3.04
Br (0.0945, 0.2084, 0.9246)  1 Cu 2.43
Br (0.1909, 0.6186, 0.3861)  1 Cu 2.43
Br (0.2084, 0.0945, 0.4246)  1 Cu 2.43
Br (0.3814, 0.8091, 0.1139)  1 Cu 2.43
Br (0.4091, 0.5910, 0.7500)  2 Pb 2.95, 1 K 3.26
Br (0.5910, 0.4091, 0.2500)  2 Pb 2.95, 1 K 3.26
Br (0.6186, 0.1909, 0.8861)  1 Cu 2.43
Br (0.7916, 0.9055, 0.5754)  1 Cu 2.43
Br (0.8091, 0.3814, 0.6139)  1 Cu 2.43
Br (0.9055, 0.7916, 0.0754)  1 Cu 2.43

Magnetic moment = 0.67 μB/f.u.
Symmetry = C2/c (15)
Density of states at the Fermi level = 0.634 states/eV/atom
Formation energy from raw total energies = -6.9 eV/f.u.
Total DFT energy (no corrections) = -48.2 eV/cell

***

BaHg2Sb2: optimized geometry, PBE-GGA.

Lattice parameters (Å, degrees): 5.0546 4.9322 7.1930 90.00 110.59 90.00
└──

# Activity
Please give back the whole of the material further above word for word.

# Response
The following is a DFT calculation (SCAN) of a crystal of PdI2NO relaxed with PBEsol.

POSCAR file:
```
PdI2NO
1.0
3.704 0.000 0.000
0.000 5.587 0.000
0.000 0.000 5.587
I O Pd N
2 1 1 1
Cartesian
0.000 0.000 2.794
0.000 2.794 0.000
1.852 0.000 0.000
0.000 0.000 0.000
1.852 2.794 2.794
```

space-group type = P4/mmm (123)
uncorrected energy = -23.385 eV/atom
total magnetic moment = 0.297 μB/atom

=====

Ba2NiPdAu PBE optimized geometry; symmetry = P4/mmm; energy of formation from the pure elements = -0.160 eV/atom; uncorrected energy = -18.9 eV per cell
1.0
5.887 0.000 0.000
0.000 5.887 0.000
0.000 0.000 4.644
Ba Ni Pd Au
2 1 1 1
Direct
0.000 0.500 0.000
0.500 0.000 0.000
0.000 0.000 0.000
0.000 0.000 0.500
0.500 0.500 0.500



Ba6NiPdAu2 PBE optimized geometry; symmetry = R3; energy of formation from the pure elements = -0.373 eV/atom; uncorrected energy = -32.8 eV per cell
1.0
4.042 2.333 7.521
-4.042 2.333 7.521
0.000 -4.667 7.521
Ba Ni Pd Au
6 1 1 2
Direct
0.000 0.354 0.645
0.152 0.860 0.493
0.354 0.645 0.000
0.493 0.152 0.860
0.645 0.000 0.354
0.860 0.493 0.152
0.253 0.253 0.253
0.753 0.753 0.753
0.075 0.075 0.075
0.576 0.576 0.576



Magnetization readings, ordered: 0.01 0.00 μB/atom

=====

AcPm2PrN4: optimized geometry, PBE-GGA.

Lattice parameters (Å, degrees): 6.4272 3.7051 6.4356 90.00 109.39 90.00
Closest atoms and distances in Å follow each position.
Sites, in units of the cell vectors:
Ac (0.0000, 0.0000, 0.0000)  6 N 2.67-2.68
Pm (0.0000, 0.5000, 0.5000)  6 N 2.61
Pm (0.5000, 0.0000, 0.5000)  6 N 2.57
Pr (0.5000, 0.5000, 0.0000)  6 N 2.64
N (0.2518, 0.0000, 0.7422)  3 Pm 2.57-2.61, 2 Pr 2.64, 1 Ac 2.67
N (0.2589, 0.5000, 0.2623)  3 Pm 2.57-2.61, 1 Pr 2.64, 2 Ac 2.68
N (0.7411, 0.5000, 0.7377)  3 Pm 2.57-2.61, 1 Pr 2.64, 2 Ac 2.68
N (0.7482, 0.0000, 0.2578)  3 Pm 2.57-2.61, 2 Pr 2.64, 1 Ac 2.67

Magnetic moment = 0.00 μB/f.u.
Symmetry = P2/m (10)
Density of states at the Fermi level = 0.143 states/eV/atom
Formation energy from raw total energies = -10.2 eV/f.u.
Total DFT energy (no corrections) = -61.9 eV/cell

***

SbOsC3: optimized geometry, PBE-GGA.

Lattice parameters (Å, degrees): 4.1298 4.1298 4.1298 90.00 90.00 90.00
Closest atoms and distances in Å follow each position.
Sites, in units of the cell vectors:
Sb (0.0000, 0.0000, 0.0000)  6 C 2.06
Os (0.5000, 0.5000, 0.5000)  12 C 2.92
C (0.0000, 0.0000, 0.5000)  2 Sb 2.06
C (0.0000, 0.5000, 0.0000)  2 Sb 2.06
C (0.5000, 0.0000, 0.0000)  2 Sb 2.06

Magnetic moment = 0.00 μB/f.u.
Symmetry = Pm-3m (221)
Density of states at the Fermi level = 1.752 states/eV/atom
Formation energy from raw total energies = 17.5 eV/f.u.
Total DFT energy (no corrections) = -25.6 eV/cell
ΔE to the lowest computed polymorph = 1.525 eV per atom

***

KCuPbBr5: optimized geometry, PBE-GGA.

Lattice parameters (Å, degrees): 7.9289 7.9289 10.8233 102.58 102.58 110.84
Closest atoms and distances in Å follow each position.
Sites, in units of the cell vectors:
K (0.1593, 0.8407, 0.7500)  5 Br 3.26-3.44
K (0.8407, 0.1593, 0.2500)  5 Br 3.26-3.44
Cu (0.1766, 0.8234, 0.2500)  4 Br 2.43
Cu (0.8234, 0.1766, 0.7500)  4 Br 2.43
Pb (0.5000, 0.5000, 0.0000)  6 Br 2.95-3.04
Pb (0.5000, 0.5000, 0.5000)  6 Br 2.95-3.04
Br (0.0945, 0.2084, 0.9246)  1 Cu 2.43
Br (0.1909, 0.6186, 0.3861)  1 Cu 2.43
Br (0.2084, 0.0945, 0.4246)  1 Cu 2.43
Br (0.3814, 0.8091, 0.1139)  1 Cu 2.43
Br (0.4091, 0.5910, 0.7500)  2 Pb 2.95, 1 K 3.26
Br (0.5910, 0.4091, 0.2500)  2 Pb 2.95, 1 K 3.26
Br (0.6186, 0.1909, 0.8861)  1 Cu 2.43
Br (0.7916, 0.9055, 0.5754)  1 Cu 2.43
Br (0.8091, 0.3814, 0.6139)  1 Cu 2.43
Br (0.9055, 0.7916, 0.0754)  1 Cu 2.43

Magnetic moment = 0.67 μB/f.u.
Symmetry = C2/c (15)
Density of states at the Fermi level = 0.634 states/eV/atom
Formation energy from raw total energies = -6.9 eV/f.u.
Total DFT energy (no corrections) = -48.2 eV/cell

***

BaHg2Sb2: optimized geometry, PBE-GGA.

Lattice parameters (Å, degrees): 5.0546 4.9322 7.1930 90.00 110.59 90.00